Lori Goodson, Editor
Mary Hammel, Technical Editor
Category: February 2019
In the Classroom: Josie Reilly
Name: Josie Reilly
School district: USD 470
Arkansas City High School/ Arkansas City Middle School
City/State: Arkansas City, KS
Class/content area taught: High School and Middle School Agriculture
What you are most excited about with your new career: The most exciting part about beginning my career is being able to combine two of my passions together, agriculture and people! Coming here to Ark City has also allowed me the opportunity to work with two experienced teachers in our agriculture program, which I enjoy very much. We all work together well and bring out the best qualities in each other to help best serve our students. Being a part of a three-teacher agriculture program has been an awesome experience thus far thanks to my two amazing partners!
What you enjoy most about teaching: My favorite thing about teaching is being able to build connections with my students and fellow educators. I believe positive relationships play an extremely important role in the lives of students and being a teacher allows me to build upon them every day!
Ways your school/district has supported you: I have been blessed to have an administration and school district who supports our agriculture program in many ways. I appreciate the warm welcome I received being a rookie and trust they put in me to do my job well. Any time our program has a need, our school has always backed us up. I have always felt comfortable asking questions and seeking advice from our administration and staff. It is great to be a part of a school who bends over backwards to help their students and teachers be successful.
Ways KSU especially helped prepare you for your new career: I believe Kansas State University has prepared me well in building a strong knowledge of agriculture and ability to network with people. I had many opportunities to work with a wide range of people which in turn prepared me well to with a diverse group of students. The connections I made in the agricultural world have benefited me greatly as I was able to meet many friends and mentors who continue to support me in my career through KSU
Specifics about your background that make teaching the perfect fit for you: Coming from a family of teachers, it has always been in my blood! Having both my mother and father as teacher then seeing how both of my sisters fell in love with the profession too, I knew I was right where I needed to be. I love being able to help educate the next generations and encourage them to make a positive impact in the world. I can’t picture myself being this happy with any other career!
Other thoughts: I would like to say thank you to my family, teachers and friends who have supported me in my journey to becoming an agricultural educator. I am excited to finally be beginning my career and can’t wait to see what life has in store for me!
Remembering technology in the good ol’ days
We decided to go down memory lane with some of your COE professors and ask them what “technology” they had in their classroom for their first year.
Mrs. Kaylee Myers (Elementary Education)—“An overhead and a cassette/taperecorder!”
Dr. Vicki Sherbert (Secondary English/Language Arts, Speech/Theatre, Journalism)—“I had an overhead projector and created transparencies on clear acetate to show on the screen. We had a ditto machine in the workroom that had a drum containing some sort of fluid. I created ditto masters that would be clamped onto the drum which spun around and around, copying the text in purple onto the pages. There was a Xerox machine at the school board office, but we weren’t allowed to use it.”
Dr. Brad Burenheide (Secondary Social Studies)—“A lovely green screen Apple IIe.”
........
88
Properties=species:S:1:pos:R:3 method="wB97M-V/def2-TZVPD" energy_ev=-64132.88334 orbital_gap_ev=5.44 de_lowest_kj_mol=31.5 e_lumo_ev=-0.005
Y -0.65624 0.13394 -0.56573
C 1.47418 2.64376 -1.64882
C 1.49944 2.66814 -0.12975
N 1.38434 1.31772 0.44253
C 2.60900 0.50592 0.37070
C 2.73001 -0.27381 -0.90583
C 3.96977 -0.69482 -1.37056
C 4.01435 -1.45516 -2.52312
C 2.83280 -1.77111 -3.18158
C 1.63995 -1.32534 -2.64539
C 0.30653 -1.67490 -3.25783
N -0.70718 -0.65851 -2.97072
C -0.69862 0.50482 -3.87465
C 0.39024 1.50897 -3.53593
N 0.24991 2.00465 -2.15640
N 1.59439 -0.58926 -1.53017
H 2.32432 2.06677 -2.01596
H 1.59529 3.66282 -2.03107
H 0.66005 3.25940 0.24661
H 2.42133 3.15973 0.20169
H 1.16378 1.41965 1.42776
H 2.55966 -0.22300 1.18409
H 3.51184 1.09858 0.54249
H 4.86097 -0.44091 -0.80698
H 4.96415 -1.79933 -2.91184
H 2.83524 -2.35525 -4.09232
H -0.03358 -2.61162 -2.80784
H 0.42167 -1.84765 -4.33388
H -1.62702 -1.08607 -3.01471
H -1.66842 0.98802 -3.78526
H -0.57919 0.18965 -4.91822
H 0.35579 2.32398 -4.26730
H 1.37489 1.04879 -3.62182
H -0.51797 2.67241 -2.13267
C -4.90536 0.56254 -0.23575
C -3.96837 0.85456 -1.40904
O -2.68655 0.48975 -1.14243
C -4.00966 2.37257 -1.72709
F -2.96810 2.75741 -2.49800
F -5.12890 2.74694 -2.36065
F -3.92963 3.10134 -0.60152
C -4.49796 0.09470 -2.65916
F -4.19446 -1.20927 -2.57687
F -5.82416 0.18046 -2.80871
F -3.94062 0.53943 -3.80753
H -4.46894 0.99700 0.66158
H -4.96936 -0.51673 -0.10217
H -5.90529 0.96631 -0.38837
N -1.60597 0.58023 4.85763
C -1.76517 1.34007 3.76943
C -1.25035 0.87285 2.53132
N -1.35754 1.58279 1.42873
C -1.97223 2.77819 1.50382
C -2.48767 3.21105 2.70691
N -2.39955 2.51189 3.83737
H -1.04987 -0.27018 4.76839
H -1.95502 0.89618 5.74399
H -0.76359 -0.09649 2.47955
H -2.06566 3.35888 0.59785
H -2.99996 4.16443 2.76607
C 6.25072 -0.47677 1.54167
C 5.09129 -0.72619 2.21122
C 4.28627 -1.91548 1.98055
C 3.08935 -2.11740 2.59440
C 2.55134 -1.16712 3.50576
C 3.35212 -0.03018 3.81182
C 4.54946 0.18322 3.20743
C 1.33313 -1.38843 4.17032
N 0.32419 -1.56956 4.71766
H 6.85022 0.39632 1.76748
H 6.66227 -1.20429 0.85192
H 4.66799 -2.66589 1.29676
H 2.52209 -3.01751 2.38538
H 2.99351 0.67345 4.55599
H 5.13518 1.05657 3.47258
C -2.32352 -3.30822 -0.45295
C -1.61113 -2.91964 0.83641
C -2.59422 -2.27573 1.81062
C -0.42910 -1.98805 0.53823
H -3.15112 -3.99975 -0.27444
H -1.63264 -3.79254 -1.15045
H -2.73275 -2.41888 -0.93665
H -1.25663 -3.84819 1.30452
H -2.99467 -1.34473 1.39015
H -2.10653 -2.04009 2.75992
H -3.44007 -2.93391 2.02597
H 0.27871 -2.53948 -0.10783
H 0.14883 -1.85939 1.47073



8
Properties=species:S:1:pos:R:3 method="wB97M-V/def2-TZVPD" energy_ev=-3077.60639 orbital_gap_ev=11.09 de_lowest_kj_mol=11.2 smiles=N.N e_lumo_ev=0.914
N -0.04812 -0.43493 -2.96799
H -0.57943 0.39656 -2.69055
H -0.30867 -1.18500 -2.31982
H -0.38838 -0.71043 -3.89478
N 0.26485 0.40925 3.23766
H 0.94375 -0.23466 2.81921
H 0.67474 1.34746 3.18884
H -0.55873 0.41177 2.62746



14
........
Dr. Todd Goodson (Secondary English, Speech/Theatre, Journalism)—“The school invested in a photocopy machine so teachers didn’t have to type everything they wanted to reproduce on purple stencils. If you’re curious, find the oldest teacher in your building and ask that person what a purple stencil was.”
Dr. Sally Yahnke (Family and Consumer Sciences)—“Mimeograph machine, overhead projector, opaque projector, movie projector, filmstrip projector.”
Mrs. Cyndi Kuhn (Technology)—“I had absolutely nothing my first year, way back in 1975 when I began teaching, we had typewriters and mimeograph machines. It was paper, paper paper, and you really had to plan ahead.”
You’re not alone: Check out these faculty members’ silly mistakes
We asked your former professors: What’s one of the funniest/silliest mistakes you made as a first-year teacher?
Dr. Todd Goodson (Secondary English, Speech/Theatre, Journalism)—“The office called for me to go to gym for a head lice check. I forgot to take my students with me.”
Dr. Sherri Martinie (Secondary Math) – “I hardly ever sat down. I stayed busy the whole day and even often ate lunch on the go. One day I was opening a pull-top can of tuna walking down the hallway and sliced my thumb. I had to leave school and have someone take me to get stiches! Lots of people teased me about it. I learned that I needed to stop, sit down, relax and enjoy a 20-minute lunch! My well being depended on it!”
Dr. Sally Yahnke (Family and Consumer Sciences) – “I’m not sure if it was silly or funny, but I was embarrassed and uncomfortable. I had a class of 18-year-old boys, and I taught them human sexuality. I was 22! At one point in the conversation we were talking about male anatomy, and I finally said, “I’m guessing you know more about this than I do!”
Dr. Tom Vontz (Elementary Social Studies) – “I left my barn door open after lunch.”
Dr. Phillip Payne (Music Education) – “Most of these are really inside jokes among our staff! We still have a great time with them… while this is not silly, the moral of the story is enjoy every moment and don’t take yourself too seriously.”
Spring is on its way…and so is the testing season
It’s nearly time for assessments, so we’re offering some tips to help you make the most of it!
- Let your students’ parents know about the approaching assessments.
- Give students and parents an idea of what the assessments will cover.
- Remind your students that they’re prepared for the assessments.
- Encourage students to eat well – especially breakfast – before a testing day.
- Have students drinking adequate amounts of water.
- Encourage them to do their best – and be proud of them when they do.
- Know that some students are taking tests in more than one content area, so understand if they’re especially stressed.
== Unrelated to this text: molecular data ==
........
(1)
Entry from the Open Molecules 2025 dataset: a cluster of 6 separate species, C32H66NO11P2S in total at a distorted geometry (wB97M-V/def2-TZVPD).

Atoms and positions in Å:
C (1.055, -1.311, 2.184)
C (0.238, -0.204, 2.815)
N (0.841, 0.621, 3.576)
C (-1.231, -0.120, 2.488)
C (-1.540, 0.921, 1.376)
O (-2.868, 1.316, 1.402)
P (-3.894, 0.379, 0.362)
P (-4.563, 2.208, -0.975)
O (-4.024, 3.628, -0.413)
O (-3.809, 2.274, -2.439)
S (-6.512, 2.218, -1.346)
O (-2.491, 0.145, -0.631)
C (-1.230, 0.399, -0.058)
C (-0.471, 1.436, -0.913)
C (-1.126, 2.821, -0.995)
C (-0.736, 3.869, 0.074)
C (0.098, 5.061, -0.438)
C (1.605, 4.913, -0.168)
O (2.451, 5.606, -1.109)
C (2.873, 5.070, -2.259)
C (2.330, 3.736, -2.688)
O (3.670, 5.664, -2.891)
H (1.381, -0.993, 1.182)
H (1.941, -1.517, 2.797)
H (0.465, -2.225, 2.055)
H (0.177, 1.320, 3.922)
H (-1.640, -1.096, 2.194)
H (-1.765, 0.222, 3.388)
H (-0.936, 1.814, 1.601)
H (-3.637, -0.835, 1.106)
H (-4.709, -0.293, -0.587)
H (-5.007, 0.755, 1.161)
H (-4.211, 4.360, -1.036)
H (-4.364, 1.760, -3.052)
H (-0.625, -0.521, -0.024)
H (0.561, 1.511, -0.524)
H (-0.392, 0.987, -1.917)
H (-2.195, 2.663, -0.956)
H (-0.937, 3.260, -1.988)
H (-0.173, 3.371, 0.878)
H (-1.652, 4.253, 0.543)
H (-0.242, 5.988, 0.048)
H (-0.065, 5.208, -1.517)
H (1.901, 3.858, -0.110)
H (1.880, 5.375, 0.787)
H (1.355, 3.480, -2.277)
H (2.280, 3.758, -3.783)
H (3.036, 2.947, -2.395)
C (3.663, -2.319, -3.008)
C (4.127, -2.757, -1.617)
C (3.427, -1.734, -0.732)
O (2.211, -1.396, -1.396)
C (2.222, -1.906, -2.728)
H (3.731, -3.106, -3.758)
H (4.248, -1.463, -3.355)
H (3.765, -3.762, -1.397)
H (5.208, -2.762, -1.487)
H (4.037, -0.831, -0.608)
H (3.186, -2.120, 0.259)
H (1.542, -2.763, -2.795)
H (1.853, -1.129, -3.398)
C (-4.346, -4.428, -2.891)
C (-5.780, -4.138, -2.443)
C (-5.641, -2.724, -1.884)
O (-4.620, -2.105, -2.657)
C (-3.915, -3.063, -3.425)
H (-4.267, -5.217, -3.638)
H (-3.734, -4.705, -2.030)
H (-6.454, -4.145, -3.302)
H (-6.157, -4.844, -1.704)
H (-5.340, -2.735, -0.831)
H (-6.548, -2.124, -1.969)
H (-4.178, -2.955, -4.486)
H (-2.845, -2.876, -3.316)
C (5.823, -7.935, -0.196)
C (4.390, -7.609, 0.227)
C (4.483, -6.110, 0.484)
O (5.467, -5.616, -0.426)
C (6.184, -6.699, -1.012)
H (5.911, -8.856, -0.771)
H (6.468, -8.014, 0.681)
H (3.697, -7.813, -0.592)
H (4.056, -8.162, 1.104)
H (4.802, -5.902, 1.511)
H (3.546, -5.581, 0.304)
H (5.877, -6.815, -2.058)
H (7.248, -6.461, -0.991)
C (-4.485, 8.243, -0.844)
C (-3.697, 7.993, -2.130)
C (-3.199, 6.567, -1.912)
O (-4.211, 5.921, -1.135)
C (-5.130, 6.881, -0.618)
H (-5.219, 9.043, -0.929)
H (-3.805, 8.484, -0.024)
H (-4.361, 8.038, -2.995)
H (-2.880, 8.697, -2.286)
H (-2.255, 6.564, -1.357)
H (-3.060, 6.009, -2.838)
H (-6.081, 6.800, -1.155)
H (-5.309, 6.654, 0.433)
C (4.255, -2.556, 6.773)
C (3.045, -1.677, 7.085)
C (2.411, -1.528, 5.707)
O (2.696, -2.752, 5.015)
C (3.675, -3.499, 5.724)
H (4.650, -3.086, 7.640)
H (5.058, -1.955, 6.342)
H (2.367, -2.195, 7.767)
H (3.307, -0.716, 7.525)
........
- If your students are preparing for tests, try to balance that with enjoyable student-focused activities.
- Try not to stress over these assessments; you’ve been preparing your students throughout the year with all your engaging activities and assignments.
- Smile. Your calmness and confidence will carry over to your students.
- And, just to balance things a bit, check out this article on creative teaching activities that DON’T involve filling in bubble answer sheets: Bubble Test Rebellion.
Working together…for some great activities
Some of your former secondary professors provided suggestions on content areas that would connect well with their content areas. Here’s what they had to say:
Cyndi Kuhn (Technology) – “Art and music.”
Dr. Brad Burenheide (Secondary Social Studies) – “Language arts/social studies is a natural fit!”
Dr. Todd Goodson (Secondary English, Speech/Theatre, Journalism)—“Any content can collaborate with any other content, and any grade level can collaborate with any other grade level. The most important thing in a successful collaboration is the quality and the nature of the professional relationship of the teachers leading the project. Bright, enthusiastic teachers who reinforce each other’s creativity can help their students see powerful connections across contents and ways of thinking. On the other hand, forced collaboration between teachers who have no desire to work together usually doesn’t end well for anyone. Our best colleagues are those who make us better, as teachers and as people. When you encounter those individuals, look for ways to collaborate so your students can see how we make connections across all disciplines.”
Dr. Sherri Martinie (Secondary Math) – “Science.”
Dr. Vicki Sherbert (Secondary English/Language Arts, Speech/Theatre, Journalism) – “English/Language Arts, Speech/Theatre, and Journalism present wonderful opportunities to collaborate in all content areas. Often there are topics covered in Social Studies classes to which literary works can be paired so that students are immersed in stories that bring historical events to life. There are also more and more non-fiction texts that can be read in the ELA classroom that support science topics and inquiry processes.”
Dr. Phillip Payne (Music Education) – “ All the subjects… specifically – Visual Art, History, Language Arts, Math. These all allow for great integration projects within courses.”
Dr. Tonnie Martinez (Secondary Language Arts) – “American Literature and American History; World History and World Literature.”
Dr. Sally Yahnke (Family and Consumer Sciences) – “I would encourage my students to collaborate with as many content areas as possible. I think supporting the content areas through family and consumer sciences is important for students to realize the relevance of the core classes in everyday life. Math just doesn’t happen in the math room or science in the science lab, but it is incorporated into what we do on a day-to-day basis. I think by working together, we can all help students succeed.”
Be sure to explore #WeAreEdCats
EdCats continues to grow! Are you a part of this great network?
We want to help beginning and early career teachers like you thrive in your career! Check out #WeAreEdCats for teaching tips and to stay in touch with the COE! Check out the website at coe.k-state.edu/edcats.
I want to hear from you!
What’s up?
~~~
54
Properties=species:S:1:pos:R:3:forces:R:3 method="wB97M-V/def2-TZVPD" fmax_ha_per_bohr=0.0164 spin_multiplicity=2 total_energy_ev=-82411.193 charge=+2 de_lowest_kcal_mol=8.51 s2=0.756
Ta 0.804 -0.859 0.637 0.67 -0.25 -0.44
Te 1.934 -3.939 1.011 -0.26 -0.02 -0.48
S -1.610 -0.674 1.528 -0.01 -0.01 0.21
S -2.899 0.607 -0.917 -0.06 -0.06 0.08
P -2.869 -1.151 0.030 -0.06 0.30 -0.11
F 2.299 -2.362 -0.341 0.02 0.16 0.04
F 0.156 -0.892 -1.129 0.02 -0.03 0.10
F 1.269 -0.591 2.444 -0.04 -0.02 -0.12
F 1.422 -4.630 2.652 -0.08 -0.20 0.19
F 3.256 -3.018 1.903 0.25 0.16 0.17
O -2.320 -2.350 -0.789 0.11 -0.26 -0.17
O 0.514 -2.746 1.110 -0.45 -0.02 0.45
O 0.389 1.171 0.609 0.06 -0.12 -0.33
O -4.277 -1.484 0.583 -0.05 -0.05 0.11
N 2.673 0.010 0.189 -0.06 0.39 0.09
N 4.894 0.787 0.823 -0.06 -0.15 -0.27
N 6.020 -0.813 -0.494 0.02 0.01 0.00
N 7.160 0.668 0.851 0.00 0.03 0.01
C -0.258 3.419 -2.822 0.00 0.04 -0.02
C -4.618 -2.757 1.260 -0.06 0.01 -0.02
C -0.431 4.794 -2.676 0.00 -0.03 0.00
C 0.384 2.418 0.712 -0.10 0.16 0.22
C -4.031 -2.746 -2.530 0.03 0.00 0.01
C -4.625 -2.570 2.755 -0.02 0.03 -0.02
C 0.009 2.640 -1.716 -0.01 -0.08 -0.03
C -0.332 5.394 -1.427 0.00 -0.01 0.00
C -2.570 -2.524 -2.234 0.02 0.02 0.03
C 0.628 3.005 2.063 -0.01 -0.02 -0.06
C 6.020 0.194 0.377 0.01 0.08 0.06
C -0.052 4.621 -0.317 0.00 0.05 0.02
C 3.754 0.359 0.471 0.11 -0.01 0.17
C 0.114 3.237 -0.453 0.03 -0.04 0.12
H 8.058 0.321 0.562 0.00 -0.02 0.01
H -2.166 -1.644 -2.733 0.00 0.00 0.01
H -4.153 -2.903 -3.602 0.01 -0.01 0.00
H 0.932 2.228 2.758 0.00 -0.01 0.00
H -5.605 -2.995 0.874 -0.01 0.00 -0.01
H -0.293 3.468 2.426 -0.01 -0.01 -0.01
H -0.645 5.402 -3.545 0.00 -0.01 0.00
H 5.159 -1.150 -0.892 -0.01 0.00 0.01
H -0.333 2.966 -3.801 0.00 0.00 0.00
H 1.384 3.789 2.016 0.00 -0.01 0.00
H -5.010 -3.479 3.218 0.01 0.00 -0.01
H 6.878 -1.222 -0.827 0.00 0.00 0.00
H -0.471 6.461 -1.323 0.00 0.00 0.00
H 0.022 5.091 0.654 0.00 0.01 -0.01
H -4.638 -1.882 -2.254 -0.01 0.00 0.00
H 0.138 1.571 -1.817 0.00 0.00 -0.01
H 7.125 1.427 1.513 0.00 0.00 0.00
H -3.914 -3.521 0.931 0.01 0.01 0.00
H -5.277 -1.744 3.035 0.00 -0.01 0.00
H -3.625 -2.388 3.145 0.02 0.02 0.01
H -4.409 -3.627 -2.013 -0.01 0.00 0.00
H -1.960 -3.386 -2.490 0.00 -0.01 -0.01

---

42
Properties=species:S:1:pos:R:3:forces:R:3 method="wB97M-V/def2-TZVPD" fmax_ha_per_bohr=0.0570 smiles="CCC[NH+](CCC)C(=O)N=[S@](=O)([O-])c1ccc(C)cc1" total_energy_ev=-34832.360 de_lowest_kcal_mol=28.05
S 1.639 1.257 -0.368 0.54 -1.38 0.28
O 1.936 1.578 -1.743 -0.33 0.37 0.30
O -0.629 2.984 -0.604 -1.06 -0.49 0.17
O 2.081 2.097 0.718 -0.35 0.24 -0.38
N 0.066 0.802 -0.176 -0.49 0.59 -0.11
N -2.185 1.332 -0.151 -1.20 -0.45 0.22
C -2.746 1.478 3.699 -0.01 -0.07 -0.08
C -3.214 -0.081 -3.628 0.00 -0.07 0.07
C -2.451 0.808 1.261 -0.06 -0.01 -0.49
C 2.954 -0.607 1.193 0.06 -0.11 -0.26
C -2.608 0.288 -1.184 0.03 0.20 0.43
C 3.812 -1.689 1.354 -0.19 -0.06 -0.07
C -0.794 1.801 -0.339 2.92 0.12 -0.20
C 2.808 -1.104 -1.189 0.14 0.10 0.45
~~~
# The text goes on
Why don’t you send us a photo of you at work in your classroom! Or, do you have a question about classroom procedures? A suggestion for a topic we should address in Before the Bell? Want to add your name to our mailing list? Or provide a different email for our list? At the very least, just email and say hi!
Early-career teachers, feel free to jump in and offer suggestions to those who are following your career choice!
We’d love to hear from you, so please email us at lagoodson@k-state.edu.
Go, COE Cats!
In our next issue….
Spring is in the air! Well, in between snowflakes–but we’re getting close!
And you are SO close to finishing your first (or beyond!) year as a classroom teacher! With that in mind, we’re going to provide some information that should help you have an amazing finish to your hear. We’re going to focus on the following in our March issue:
- Assessments – The Sequel
- Spring Break Recharging
- Purple Possibilities